Entries =
Record 1
An isolated molecule of C5H7NO. Source: the Open Molecules 2025 dataset; level of theory: wB97M-V/def2-TZVPD.

Values from the calculation:
E_HOMO = -9.12 eV
Energy above the lowest of the compared OMol25 structures with the same formula, charge and spin = 5.772 eV

Geometry as XYZ:
```
14
C5H7NO | the Open Molecules 2025 dataset | wB97M-V/def2-TZVPD
N 3.00 0.62 0.90
C 1.94 0.31 0.31
O 1.33 -0.74 -0.26
C -1.60 -0.49 -1.53
C -1.51 -0.51 -0.06
C -0.64 0.62 0.51
C 0.66 0.60 -0.26
H 3.60 -0.20 0.99
H -1.92 -1.50 -1.84
H -1.27 -1.47 0.41
H -2.59 -0.34 0.16
H -0.47 0.49 1.59
H -1.12 1.59 0.36
H 0.60 1.01 -1.26
```

natural (NBO) population analysis, charges in e, atoms 1 to 8: number 1, N, carries -0.67; number 2, C, carries 0.54; number 3, O, carries -0.49; number 4, C, carries -0.01; number 5, C, carries -0.60; number 6, C, carries -0.43; number 7, C, carries 0.01; number 8, H, carries 0.35


Record 2
A structure of composition C5H7NO. Source: the Open Molecules 2025 dataset; level of theory: wB97M-V/def2-TZVPD.

Values from the calculation:
E_HOMO = -9.32 eV
Energy above the lowest of the compared OMol25 structures with the same formula, charge and spin = 1.937 eV

Geometry as XYZ:
```
14
C5H7NO | the Open Molecules 2025 dataset | wB97M-V/def2-TZVPD
C -2.13 0.18 -0.22
C 0.32 0.17 0.15
C 0.74 -0.94 -0.47
C 2.09 -0.56 -0.04
N 3.24 -1.02 -0.15
O 1.58 0.62 0.61
C -0.94 0.89 0.43
H -3.06 0.46 0.26
H -2.20 0.42 -1.29
H -2.03 -0.91 -0.14
H 0.34 -1.76 -1.04
H 3.96 -0.45 0.30
H -1.06 0.97 1.52
H -0.86 1.93 0.07
```

natural (NBO) population analysis, charges in e, atoms 1 to 8: number 1, C, carries -0.60; number 2, C, carries 0.40; number 3, C, carries -0.43; number 4, C, carries 0.56; number 5, N, carries -0.64; number 6, O, carries -0.53; number 7, C, carries -0.48; number 8, H, carries 0.22


Question: E_HOMO of number 1 (C5H7NO)?
Answer: -9.12 eV


Question: E_HOMO of number 2 (C5H7NO)?
Answer: -9.32 eV


Question: Number 2 is which compound?
Answer: C5H7NO

Work order =
Could you print the block above from the line with "0.36" to the end unchanged?

Done =
H -1.12 1.59 0.36
H 0.60 1.01 -1.26
```

natural (NBO) population analysis, charges in e, atoms 1 to 8: number 1, N, carries -0.67; number 2, C, carries 0.54; number 3, O, carries -0.49; number 4, C, carries -0.01; number 5, C, carries -0.60; number 6, C, carries -0.43; number 7, C, carries 0.01; number 8, H, carries 0.35


Record 2
A structure of composition C5H7NO. Source: the Open Molecules 2025 dataset; level of theory: wB97M-V/def2-TZVPD.

Values from the calculation:
E_HOMO = -9.32 eV
Energy above the lowest of the compared OMol25 structures with the same formula, charge and spin = 1.937 eV

Geometry as XYZ:
```
14
C5H7NO | the Open Molecules 2025 dataset | wB97M-V/def2-TZVPD
C -2.13 0.18 -0.22
C 0.32 0.17 0.15
C 0.74 -0.94 -0.47
C 2.09 -0.56 -0.04
N 3.24 -1.02 -0.15
O 1.58 0.62 0.61
C -0.94 0.89 0.43
H -3.06 0.46 0.26
H -2.20 0.42 -1.29
H -2.03 -0.91 -0.14
H 0.34 -1.76 -1.04
H 3.96 -0.45 0.30
H -1.06 0.97 1.52
H -0.86 1.93 0.07
```

natural (NBO) population analysis, charges in e, atoms 1 to 8: number 1, C, carries -0.60; number 2, C, carries 0.40; number 3, C, carries -0.43; number 4, C, carries 0.56; number 5, N, carries -0.64; number 6, O, carries -0.53; number 7, C, carries -0.48; number 8, H, carries 0.22


Question: E_HOMO of number 1 (C5H7NO)?
Answer: -9.12 eV


Question: E_HOMO of number 2 (C5H7NO)?
Answer: -9.32 eV


Question: Number 2 is which compound?
Answer: C5H7NO